Now retype the material below character by character.
*i*
{
  "formula": "C3H4OS",
  "method": "ωB97M-V/def2-TZVPD",
  "symbols": ["S", "O", "C", "C", "C", "H", "H", "H", "H"],
  "positions_angstrom": [[2.094, -0.482, -0.131], [-1.531, -1.556, -0.094], [-0.653, 0.802, -0.581], [-0.912, -0.543, -0.047], [0.158, 0.214, 0.557], [0.290, 0.610, 1.542], [-0.186, 0.871, -1.554], [2.062, -1.541, 0.674], [-1.323, 1.625, -0.366]],
  "lumo_energy_ev": -0.52,
  "homo_lumo_gap_ev": 8.9,
  "spin_multiplicity": 1,
  "smiles": "O=C1C[C@@H]1S",
  "homo_energy_ev": -9.39
}

*ii*
{
  "formula": "C3H4OS",
  "method": "ωB97M-V/def2-TZVPD",
  "symbols": ["S", "O", "C", "C", "C", "H", "H", "H", "H"],
  "positions_angstrom": [[2.120, 0.994, 0.192], [3.155, -0.018, -0.098], [0.658, 0.119, 0.655], [-0.976, 0.302, -1.241], [-0.014, -0.323, -0.706], [0.487, -1.191, -1.107], [-0.004, 0.784, 1.198], [0.884, -0.786, 1.209], [-1.605, 1.154, -1.192]],
  "lumo_energy_ev": [-0.33, -0.84],
  "homo_lumo_gap_ev": [8.3, 8.0],
  "spin_multiplicity": 1,
  "homo_energy_ev": [-8.67, -8.85]
}

It is *ii* that is the least stable of them.

*i*
{
  "formula": "C5H21NO7",
  "method": "ωB97M-V/def2-TZVPD",
  "symbols": ["O", "O", "O", "O", "O", "O", "O", "N", "C", "C", "C", "C", "C", "H", "H", "H", "H", "H", "H", "H", "H", "H", "H", "H", "H", "H", "H", "H", "H", "H", "H", "H", "H", "H"],
  "positions_angstrom": [[3.214, 2.877, -0.319], [-1.859, 2.231, 1.436], [-2.589, -0.577, -1.208], [1.233, -2.416, -2.431], [2.613, -3.088, -0.456], [0.571, 3.454, -0.569], [1.947, 0.641, -2.336], [-1.071, -0.308, 2.339], [-1.509, -2.395, 0.112], [-2.221, 1.265, 0.867], [-1.474, -0.103, 0.991], [-2.323, -1.162, 0.146], [-0.443, 0.715, 3.164], [-1.760, -0.639, -1.709], [0.756, 3.108, -1.439], [2.124, 0.708, -3.226], [-1.160, 1.545, 3.518], [-0.253, 3.932, -0.556], [2.057, -2.810, -1.193], [-3.077, 1.359, 0.163], [-1.981, -3.039, -0.694], [-1.489, -2.959, 1.021], [0.479, 1.103, 2.746], [2.470, 1.351, -2.059], [-0.154, 0.150, 3.989], [-3.388, -1.203, 0.567], [3.784, 2.671, 0.439], [0.991, -2.894, -3.192], [1.396, -1.536, -2.499], [3.519, -2.883, -0.507], [2.546, 3.491, 0.033], [-2.043, -0.394, 2.735], [-0.482, 0.080, 0.259], [-0.425, -2.276, -0.134]],
  "lumo_energy_ev": 0.18,
  "homo_lumo_gap_ev": 8.4,
  "spin_multiplicity": 1,
  "smiles": "CN[C@H](C=O)[C@H](C)O.O.O.O.O.O",
  "homo_energy_ev": -8.21
}

*ii*
{
  "formula": "C5H21NO7",
  "method": "ωB97M-V/def2-TZVPD",
  "symbols": ["O", "O", "O", "O", "O", "O", "O", "N", "C", "C", "C", "C", "C", "H", "H", "H", "H", "H", "H", "H", "H", "H", "H", "H", "H", "H", "H", "H", "H", "H", "H", "H", "H", "H"],
  "positions_angstrom": [[-1.131, 1.859, 1.284], [-2.458, -0.643, 2.704], [1.336, 0.004, 2.323], [-0.609, -2.069, 3.802], [-2.480, 0.752, -3.323], [-0.577, 1.018, -1.148], [-1.899, -2.893, -0.645], [1.110, -1.715, -0.277], [-0.295, -0.122, -1.484], [2.293, 1.592, -1.693], [2.193, 0.406, -0.844], [1.181, -0.710, -1.333], [1.538, 2.702, -1.580], [-1.714, 1.267, -3.057], [-1.177, -0.670, -1.826], [1.021, -1.349, 0.663], [-2.250, -0.789, 1.783], [3.214, -0.087, -0.877], [-1.243, 2.797, 0.990], [-1.000, -2.522, -0.503], [0.946, 2.653, -0.665], [-0.590, 1.450, 0.528], [-3.249, 0.852, -2.675], [1.978, 0.535, 0.237], [-3.234, -0.156, 2.825], [0.113, -1.533, 3.494], [1.630, 3.482, -2.280], [1.813, 0.680, 2.829], [3.055, 1.521, -2.493], [0.336, 0.167, 2.424], [1.445, -0.977, -2.378], [-1.904, -3.660, 0.017], [-1.413, -1.681, 3.379], [2.021, -2.162, -0.200]],
  "lumo_energy_ev": 0.25,
  "homo_lumo_gap_ev": 9.6,
  "spin_multiplicity": 1,
  "smiles": "C=CC[C@@H](N)C=O.O.O.O.O.O.O",
  "homo_energy_ev": -9.40
}

It is *i* that is the least stable of them.

*i*
{
  "formula": "C5H8O2S",
  "method": "ωB97M-V/def2-TZVPD",
  "symbols": ["S", "O", "O", "C", "C", "C", "C", "C", "H", "H", "H", "H", "H", "H", "H", "H"],
*i*
{
  "formula": "C3H4OS",
  "method": "ωB97M-V/def2-TZVPD",
  "symbols": ["S", "O", "C", "C", "C", "H", "H", "H", "H"],
  "positions_angstrom": [[2.094, -0.482, -0.131], [-1.531, -1.556, -0.094], [-0.653, 0.802, -0.581], [-0.912, -0.543, -0.047], [0.158, 0.214, 0.557], [0.290, 0.610, 1.542], [-0.186, 0.871, -1.554], [2.062, -1.541, 0.674], [-1.323, 1.625, -0.366]],
  "lumo_energy_ev": -0.52,
  "homo_lumo_gap_ev": 8.9,
  "spin_multiplicity": 1,
  "smiles": "O=C1C[C@@H]1S",
  "homo_energy_ev": -9.39
}

*ii*
{
  "formula": "C3H4OS",
  "method": "ωB97M-V/def2-TZVPD",
  "symbols": ["S", "O", "C", "C", "C", "H", "H", "H", "H"],
  "positions_angstrom": [[2.120, 0.994, 0.192], [3.155, -0.018, -0.098], [0.658, 0.119, 0.655], [-0.976, 0.302, -1.241], [-0.014, -0.323, -0.706], [0.487, -1.191, -1.107], [-0.004, 0.784, 1.198], [0.884, -0.786, 1.209], [-1.605, 1.154, -1.192]],
  "lumo_energy_ev": [-0.33, -0.84],
  "homo_lumo_gap_ev": [8.3, 8.0],
  "spin_multiplicity": 1,
  "homo_energy_ev": [-8.67, -8.85]
}

It is *ii* that is the least stable of them.

*i*
{
  "formula": "C5H21NO7",
  "method": "ωB97M-V/def2-TZVPD",
  "symbols": ["O", "O", "O", "O", "O", "O", "O", "N", "C", "C", "C", "C", "C", "H", "H", "H", "H", "H", "H", "H", "H", "H", "H", "H", "H", "H", "H", "H", "H", "H", "H", "H", "H", "H"],
  "positions_angstrom": [[3.214, 2.877, -0.319], [-1.859, 2.231, 1.436], [-2.589, -0.577, -1.208], [1.233, -2.416, -2.431], [2.613, -3.088, -0.456], [0.571, 3.454, -0.569], [1.947, 0.641, -2.336], [-1.071, -0.308, 2.339], [-1.509, -2.395, 0.112], [-2.221, 1.265, 0.867], [-1.474, -0.103, 0.991], [-2.323, -1.162, 0.146], [-0.443, 0.715, 3.164], [-1.760, -0.639, -1.709], [0.756, 3.108, -1.439], [2.124, 0.708, -3.226], [-1.160, 1.545, 3.518], [-0.253, 3.932, -0.556], [2.057, -2.810, -1.193], [-3.077, 1.359, 0.163], [-1.981, -3.039, -0.694], [-1.489, -2.959, 1.021], [0.479, 1.103, 2.746], [2.470, 1.351, -2.059], [-0.154, 0.150, 3.989], [-3.388, -1.203, 0.567], [3.784, 2.671, 0.439], [0.991, -2.894, -3.192], [1.396, -1.536, -2.499], [3.519, -2.883, -0.507], [2.546, 3.491, 0.033], [-2.043, -0.394, 2.735], [-0.482, 0.080, 0.259], [-0.425, -2.276, -0.134]],
  "lumo_energy_ev": 0.18,
  "homo_lumo_gap_ev": 8.4,
  "spin_multiplicity": 1,
  "smiles": "CN[C@H](C=O)[C@H](C)O.O.O.O.O.O",
  "homo_energy_ev": -8.21
}

*ii*
{
  "formula": "C5H21NO7",
  "method": "ωB97M-V/def2-TZVPD",
  "symbols": ["O", "O", "O", "O", "O", "O", "O", "N", "C", "C", "C", "C", "C", "H", "H", "H", "H", "H", "H", "H", "H", "H", "H", "H", "H", "H", "H", "H", "H", "H", "H", "H", "H", "H"],
  "positions_angstrom": [[-1.131, 1.859, 1.284], [-2.458, -0.643, 2.704], [1.336, 0.004, 2.323], [-0.609, -2.069, 3.802], [-2.480, 0.752, -3.323], [-0.577, 1.018, -1.148], [-1.899, -2.893, -0.645], [1.110, -1.715, -0.277], [-0.295, -0.122, -1.484], [2.293, 1.592, -1.693], [2.193, 0.406, -0.844], [1.181, -0.710, -1.333], [1.538, 2.702, -1.580], [-1.714, 1.267, -3.057], [-1.177, -0.670, -1.826], [1.021, -1.349, 0.663], [-2.250, -0.789, 1.783], [3.214, -0.087, -0.877], [-1.243, 2.797, 0.990], [-1.000, -2.522, -0.503], [0.946, 2.653, -0.665], [-0.590, 1.450, 0.528], [-3.249, 0.852, -2.675], [1.978, 0.535, 0.237], [-3.234, -0.156, 2.825], [0.113, -1.533, 3.494], [1.630, 3.482, -2.280], [1.813, 0.680, 2.829], [3.055, 1.521, -2.493], [0.336, 0.167, 2.424], [1.445, -0.977, -2.378], [-1.904, -3.660, 0.017], [-1.413, -1.681, 3.379], [2.021, -2.162, -0.200]],
  "lumo_energy_ev": 0.25,
  "homo_lumo_gap_ev": 9.6,
  "spin_multiplicity": 1,
  "smiles": "C=CC[C@@H](N)C=O.O.O.O.O.O.O",
  "homo_energy_ev": -9.40
}

It is *i* that is the least stable of them.

*i*
{
  "formula": "C5H8O2S",
  "method": "ωB97M-V/def2-TZVPD",
  "symbols": ["S", "O", "O", "C", "C", "C", "C", "C", "H", "H", "H", "H", "H", "H", "H", "H"],